**Wanted**
The reader should write out the listing further below unchanged.

**Entries**
-- begin --
VASP calculation (PBE-GGA) on a relaxed structure of Al39Fe7Cu24.

Structure (CIF):
```
data_Al39Fe7Cu24
_chemical_formula_sum 'Al78 Fe14 Cu48'
_cell_length_a 12.586
_cell_length_b 12.586
_cell_length_c 12.586
_cell_angle_alpha 90.00
_cell_angle_beta 90.00
_cell_angle_gamma 90.00
_symmetry_space_group_name_H-M 'P m -3'
_symmetry_Int_Tables_number 200
_symmetry_space_group_name_Hall '-P 2 2 3'
loop_
_atom_site_label
_atom_site_fract_x
_atom_site_fract_y
_atom_site_fract_z
Al1 0.000 0.000 0.390
Al2 0.000 0.175 0.106
Al3 0.000 0.386 0.378
Al4 0.100 0.182 0.500
Al5 0.113 0.324 0.198
Al6 0.209 0.500 0.330
Fe1 0.000 0.000 0.000
Fe2 0.326 0.410 0.500
Fe3 0.500 0.500 0.500
Cu1 0.000 0.192 0.313
Cu2 0.000 0.500 0.193
Cu3 0.112 0.500 0.500
Cu4 0.196 0.306 0.378
```

Properties
E_tot: -4.37 eV/atom
crystal system: cubic
energy of formation: -0.032 eV/atom


VASP calculation (PBE-GGA) on a relaxed structure of Al37Fe12Cu2.

Structure (CIF):
```
data_Al37Fe12Cu2
_chemical_formula_sum 'Al74 Fe24 Cu4'
_cell_length_a 15.481
_cell_length_b 7.858
_cell_length_c 12.415
_cell_angle_alpha 90.00
_cell_angle_beta 108.15
_cell_angle_gamma 90.00
_symmetry_space_group_name_H-M 'C 1 m 1'
_symmetry_Int_Tables_number 8
loop_
_symmetry_equiv_pos_as_xyz
'x,y,z'
'x,-y,z'
'x+1/2,y+1/2,z'
'x+1/2,-y+1/2,z'
loop_
_atom_site_label
_atom_site_fract_x
_atom_site_fract_y
_atom_site_fract_z
Al1 0.000 0.000 0.000
Al2 0.001 0.283 0.615
Al3 0.007 0.284 0.387
Al4 0.014 0.000 0.505
Al5 0.054 0.500 0.219
Al6 0.054 0.500 0.818
Al7 0.083 0.000 0.324
Al8 0.087 0.000 0.735
Al9 0.129 0.500 0.047
Al10 0.136 0.214 0.164
Al11 0.141 0.215 0.939
Al12 0.142 0.500 0.554
Al13 0.188 0.290 0.386
Al14 0.189 0.294 0.754
Al15 0.239 0.000 0.493
Al16 0.249 0.000 0.697
Al17 0.262 0.000 0.103
Al18 0.302 0.500 0.108
Al19 0.310 0.279 0.611
Al20 0.321 0.250 0.277
Al21 0.333 0.273 0.946
Al22 0.341 0.500 0.445
Al23 0.387 0.000 0.452
Al24 0.396 0.000 0.864
Al25 0.451 0.280 0.163
Al26 0.453 0.294 0.800
Fe1 0.006 0.295 0.998
Fe2 0.140 0.204 0.552
Fe3 0.219 0.500 0.907
Fe4 0.222 0.500 0.262
Fe5 0.231 0.000 0.288
Fe6 0.234 0.000 0.889
-- stop --

**Completed**
VASP calculation (PBE-GGA) on a relaxed structure of Al39Fe7Cu24.

Structure (CIF):
```
data_Al39Fe7Cu24
_chemical_formula_sum 'Al78 Fe14 Cu48'
_cell_length_a 12.586
_cell_length_b 12.586
_cell_length_c 12.586
_cell_angle_alpha 90.00
_cell_angle_beta 90.00
_cell_angle_gamma 90.00
_symmetry_space_group_name_H-M 'P m -3'
_symmetry_Int_Tables_number 200
_symmetry_space_group_name_Hall '-P 2 2 3'
loop_
_atom_site_label
_atom_site_fract_x
_atom_site_fract_y
_atom_site_fract_z
Al1 0.000 0.000 0.390
Al2 0.000 0.175 0.106
Al3 0.000 0.386 0.378
Al4 0.100 0.182 0.500
Al5 0.113 0.324 0.198
Al6 0.209 0.500 0.330
Fe1 0.000 0.000 0.000
Fe2 0.326 0.410 0.500
Fe3 0.500 0.500 0.500
Cu1 0.000 0.192 0.313
Cu2 0.000 0.500 0.193
Cu3 0.112 0.500 0.500
Cu4 0.196 0.306 0.378
```

Properties
E_tot: -4.37 eV/atom
crystal system: cubic
energy of formation: -0.032 eV/atom


VASP calculation (PBE-GGA) on a relaxed structure of Al37Fe12Cu2.

Structure (CIF):
```
data_Al37Fe12Cu2
_chemical_formula_sum 'Al74 Fe24 Cu4'
_cell_length_a 15.481
_cell_length_b 7.858
_cell_length_c 12.415
_cell_angle_alpha 90.00
_cell_angle_beta 108.15
_cell_angle_gamma 90.00
_symmetry_space_group_name_H-M 'C 1 m 1'
_symmetry_Int_Tables_number 8
loop_
_symmetry_equiv_pos_as_xyz
'x,y,z'
'x,-y,z'
'x+1/2,y+1/2,z'
'x+1/2,-y+1/2,z'
loop_
_atom_site_label
_atom_site_fract_x
_atom_site_fract_y
_atom_site_fract_z
Al1 0.000 0.000 0.000
Al2 0.001 0.283 0.615
Al3 0.007 0.284 0.387
Al4 0.014 0.000 0.505
Al5 0.054 0.500 0.219
Al6 0.054 0.500 0.818
Al7 0.083 0.000 0.324
Al8 0.087 0.000 0.735
Al9 0.129 0.500 0.047
Al10 0.136 0.214 0.164
Al11 0.141 0.215 0.939
Al12 0.142 0.500 0.554
Al13 0.188 0.290 0.386
Al14 0.189 0.294 0.754
Al15 0.239 0.000 0.493
Al16 0.249 0.000 0.697
Al17 0.262 0.000 0.103
Al18 0.302 0.500 0.108
Al19 0.310 0.279 0.611
Al20 0.321 0.250 0.277
Al21 0.333 0.273 0.946
Al22 0.341 0.500 0.445
Al23 0.387 0.000 0.452
Al24 0.396 0.000 0.864
Al25 0.451 0.280 0.163
Al26 0.453 0.294 0.800
Fe1 0.006 0.295 0.998
Fe2 0.140 0.204 0.552
Fe3 0.219 0.500 0.907
Fe4 0.222 0.500 0.262
Fe5 0.231 0.000 0.288
Fe6 0.234 0.000 0.889